== Job ==
Print the entries underneath with every line break kept.

== Excerpt ==
____________
This entry pairs a crystal structure of La2SiBRh6 with its computed powder diffraction line list. Radiation: Cu Kα. Structure: a crystal structure in Alexandria, relaxed with PBE.
No peak broadening, texture or thermal motion is included.

Structural model:
a = 6.2341 Å, b = 8.8180 Å, c = 6.2305 Å
α = 90.00°, β = 90.00°, γ = 90.00°
Space group Pmmn (No. 59, origin choice 2)
Symmetry-distinct sites (fractional):
La: 0.2500 0.0001 0.2500 x4
Si: 0.2500 0.2500 0.7493 x2
B: 0.2500 0.7500 0.7506 x2
Rh: 0.0122 0.7500 0.9881 x4
Rh: 0.0127 0.7500 0.5124 x4
Rh: 0.2500 0.5123 0.7502 x4

Principal peaks in the range 10 to 80 degrees two-theta, by angle:
| 2θ/deg | I_rel | index |
| --- | --- | --- |
| 17.42 | 6 | 1 1 0 |
| 28.64 | 38 | 2 0 0 |
| 35.27 | 1000 | 2 2 0 |
| 40.95 | 576 | 2 0 2 |
| 44.82 | 21 | 3 1 0 |
| 50.74 | 12 | 2 4 0 |
| 54.06 | 20 | 3 3 0 |
| 59.30 | 372 | 2 4 2 |
| 67.16 | 9 | 4 0 2 |
| 70.91 | 363 | 4 2 2 |
| 74.59 | 122 | 0 4 4 |
| 77.30 | 13 | 5 1 0 |

---

This entry pairs a crystal structure of La4SnB3Rh12 with its computed powder diffraction line list. Radiation: Cu Kα. Structure: a crystal structure in Alexandria, relaxed with PBE.
No peak broadening, texture or thermal motion is included.

Structural model:
a = 8.8640 Å, b = 8.8640 Å, c = 8.8640 Å
α = 90.00°, β = 90.00°, γ = 90.00°
Space group Im-3m (No. 229)
Symmetry-distinct sites (fractional):
La: 0.2500 0.2500 0.2500 x8
Sn: 0.0000 0.0000 0.0000 x2
B: 0.0000 0.0000 0.5000 x6
Rh: 0.0000 0.0000 0.2805 x12
Rh: 0.0000 0.2500 0.5000 x12

Principal peaks in the range 10 to 80 degrees two-theta, by angle:
| 2θ/deg | I_rel | index |
| --- | --- | --- |
| 28.48 | 89 | 2 2 0 |
| 31.93 | 52 | 3 1 0 |
| 35.07 | 1000 | 2 2 2 |
| 37.98 | 76 | 3 2 1 |
| 40.72 | 677 | 4 0 0 |
| 43.31 | 38 | 3 3 0 |
| 48.15 | 60 | 3 3 2 |
| 58.94 | 422 | 4 4 0 |
| 66.74 | 30 | 6 2 0 |
| 70.47 | 329 | 6 2 2 |
| 74.11 | 132 | 4 4 4 |
| 79.45 | 47 | 6 3 3 |

---

This entry pairs a crystal structure of LaB4Ru with its computed powder diffraction line list. Radiation: Cu Kα. Structure: a crystal structure in Alexandria, relaxed with PBE.
No peak broadening, texture or thermal motion is included.

Structural model:
a = 6.1157 Å, b = 11.8499 Å, c = 3.6926 Å
α = 90.00°, β = 90.00°, γ = 90.00°
Space group Pbam (No. 55)
Symmetry-distinct sites (fractional):
La: 0.1263 0.1505 0.0000 x4
B: 0.0233 0.6869 0.5000 x4
B: 0.1093 0.5447 0.5000 x4
B: 0.1423 0.9685 0.5000 x4
B: 0.2204 0.8180 0.5000 x4
Ru: 0.1374 0.4089 0.0000 x4

Principal peaks in the range 10 to 80 degrees two-theta, by angle:
| 2θ/deg | I_rel | index |
| --- | --- | --- |
| 24.10 | 769 | 0 0 1 |
| 26.87 | 160 | 1 3 0 |
| 30.18 | 823 | 0 4 0 |
| 33.61 | 194 | 1 4 0 |
| 36.40 | 196 | 1 3 1 |
| 37.18 | 214 | 2 3 0 |
| 38.99 | 1000 | 0 4 1 |
| 41.79 | 265 | 1 4 1 |
| 44.80 | 315 | 2 3 1 |
| 49.36 | 192 | 0 0 2 |
| 58.95 | 248 | 0 4 2 |
| 60.56 | 128 | 4 0 0 |

---

Please write out number 3 again, unchanged.
This entry pairs a crystal structure of LaB4Ru with its computed powder diffraction line list. Radiation: Cu Kα. Structure: a crystal structure in Alexandria, relaxed with PBE.
No peak broadening, texture or thermal motion is included.

Structural model:
a = 6.1157 Å, b = 11.8499 Å, c = 3.6926 Å
α = 90.00°, β = 90.00°, γ = 90.00°
Space group Pbam (No. 55)
Symmetry-distinct sites (fractional):
La: 0.1263 0.1505 0.0000 x4
B: 0.0233 0.6869 0.5000 x4
B: 0.1093 0.5447 0.5000 x4
B: 0.1423 0.9685 0.5000 x4
B: 0.2204 0.8180 0.5000 x4
Ru: 0.1374 0.4089 0.0000 x4

Principal peaks in the range 10 to 80 degrees two-theta, by angle:
| 2θ/deg | I_rel | index |
____________

== Completed ==
This entry pairs a crystal structure of La2SiBRh6 with its computed powder diffraction line list. Radiation: Cu Kα. Structure: a crystal structure in Alexandria, relaxed with PBE.
No peak broadening, texture or thermal motion is included.

Structural model:
a = 6.2341 Å, b = 8.8180 Å, c = 6.2305 Å
α = 90.00°, β = 90.00°, γ = 90.00°
Space group Pmmn (No. 59, origin choice 2)
Symmetry-distinct sites (fractional):
La: 0.2500 0.0001 0.2500 x4
Si: 0.2500 0.2500 0.7493 x2
B: 0.2500 0.7500 0.7506 x2
Rh: 0.0122 0.7500 0.9881 x4
Rh: 0.0127 0.7500 0.5124 x4
Rh: 0.2500 0.5123 0.7502 x4

Principal peaks in the range 10 to 80 degrees two-theta, by angle:
| 2θ/deg | I_rel | index |
| --- | --- | --- |
| 17.42 | 6 | 1 1 0 |
| 28.64 | 38 | 2 0 0 |
| 35.27 | 1000 | 2 2 0 |
| 40.95 | 576 | 2 0 2 |
| 44.82 | 21 | 3 1 0 |
| 50.74 | 12 | 2 4 0 |
| 54.06 | 20 | 3 3 0 |
| 59.30 | 372 | 2 4 2 |
| 67.16 | 9 | 4 0 2 |
| 70.91 | 363 | 4 2 2 |
| 74.59 | 122 | 0 4 4 |
| 77.30 | 13 | 5 1 0 |

---

This entry pairs a crystal structure of La4SnB3Rh12 with its computed powder diffraction line list. Radiation: Cu Kα. Structure: a crystal structure in Alexandria, relaxed with PBE.
No peak broadening, texture or thermal motion is included.

Structural model:
a = 8.8640 Å, b = 8.8640 Å, c = 8.8640 Å
α = 90.00°, β = 90.00°, γ = 90.00°
Space group Im-3m (No. 229)
Symmetry-distinct sites (fractional):
La: 0.2500 0.2500 0.2500 x8
Sn: 0.0000 0.0000 0.0000 x2
B: 0.0000 0.0000 0.5000 x6
Rh: 0.0000 0.0000 0.2805 x12
Rh: 0.0000 0.2500 0.5000 x12

Principal peaks in the range 10 to 80 degrees two-theta, by angle:
| 2θ/deg | I_rel | index |
| --- | --- | --- |
| 28.48 | 89 | 2 2 0 |
| 31.93 | 52 | 3 1 0 |
| 35.07 | 1000 | 2 2 2 |
| 37.98 | 76 | 3 2 1 |
| 40.72 | 677 | 4 0 0 |
| 43.31 | 38 | 3 3 0 |
| 48.15 | 60 | 3 3 2 |
| 58.94 | 422 | 4 4 0 |
| 66.74 | 30 | 6 2 0 |
| 70.47 | 329 | 6 2 2 |
| 74.11 | 132 | 4 4 4 |
| 79.45 | 47 | 6 3 3 |

---

This entry pairs a crystal structure of LaB4Ru with its computed powder diffraction line list. Radiation: Cu Kα. Structure: a crystal structure in Alexandria, relaxed with PBE.
No peak broadening, texture or thermal motion is included.

Structural model:
a = 6.1157 Å, b = 11.8499 Å, c = 3.6926 Å
α = 90.00°, β = 90.00°, γ = 90.00°
Space group Pbam (No. 55)
Symmetry-distinct sites (fractional):
La: 0.1263 0.1505 0.0000 x4
B: 0.0233 0.6869 0.5000 x4
B: 0.1093 0.5447 0.5000 x4
B: 0.1423 0.9685 0.5000 x4
B: 0.2204 0.8180 0.5000 x4
Ru: 0.1374 0.4089 0.0000 x4

Principal peaks in the range 10 to 80 degrees two-theta, by angle:
| 2θ/deg | I_rel | index |
| --- | --- | --- |
| 24.10 | 769 | 0 0 1 |
| 26.87 | 160 | 1 3 0 |
| 30.18 | 823 | 0 4 0 |
| 33.61 | 194 | 1 4 0 |
| 36.40 | 196 | 1 3 1 |
| 37.18 | 214 | 2 3 0 |
| 38.99 | 1000 | 0 4 1 |
| 41.79 | 265 | 1 4 1 |
| 44.80 | 315 | 2 3 1 |
| 49.36 | 192 | 0 0 2 |
| 58.95 | 248 | 0 4 2 |
| 60.56 | 128 | 4 0 0 |

---

Please write out number 3 again, unchanged.
This entry pairs a crystal structure of LaB4Ru with its computed powder diffraction line list. Radiation: Cu Kα. Structure: a crystal structure in Alexandria, relaxed with PBE.
No peak broadening, texture or thermal motion is included.

Structural model:
a = 6.1157 Å, b = 11.8499 Å, c = 3.6926 Å
α = 90.00°, β = 90.00°, γ = 90.00°
Space group Pbam (No. 55)
Symmetry-distinct sites (fractional):
La: 0.1263 0.1505 0.0000 x4
B: 0.0233 0.6869 0.5000 x4
B: 0.1093 0.5447 0.5000 x4
B: 0.1423 0.9685 0.5000 x4
B: 0.2204 0.8180 0.5000 x4
Ru: 0.1374 0.4089 0.0000 x4

Principal peaks in the range 10 to 80 degrees two-theta, by angle:
| 2θ/deg | I_rel | index |